Material:
+++
This record from the OMol25 dataset describes a single C5H9NO molecule. The level of theory is the ωB97M-V functional and the def2-TZVPD basis.

The value obtained for the orbital gap is 7.404 eV. Its multiplicity is 1.

Element x y z (Å)
C  -0.55538  2.05539  0.57029
C  0.65909  0.51470  -0.92052
C  0.38482  -0.71177  -0.08729
C  1.52197  -1.26938  0.67281
C  -1.89132  -0.87360  -0.52511
N  0.12285  1.74271  -0.43427
O  -0.77948  -1.19823  0.10040
H  -0.78405  3.03656  0.77914
H  1.70581  0.50942  -0.80759
H  0.34434  0.33156  -2.01542
H  1.12724  -1.88325  1.62568
H  2.15187  -0.42781  0.90268
H  2.11063  -2.15426  0.24631
H  -1.95589  -0.06929  -1.34330
H  -1.38765  1.49336  1.14606
H  -2.77483  -1.09609  0.09014

=====

No. 1
{"formula": "C5H30NO13", "method": "wB97M-V/def2-TZVPD", "symbols": ["O", "C", "O", "C", "C", "C", "C", "N", "H", "H", "H", "H", "H", "H", "H", "H", "H", "H", "O", "H", "H", "O", "H", "H", "O", "H", "H", "O", "H", "H", "O", "H", "H", "O", "H", "H", "O", "H", "H", "O", "H", "H", "O", "H", "H", "O", "H", "H", "O"], "coordinates": [[1.80791, -1.75555, 1.25202], [2.34692, -1.09343, 0.35048], [2.58994, 0.14228, 0.33132], [2.79816, -1.83787, -0.92689], [1.60216, -2.35701, -1.75264], [0.80067, -1.12023, -2.29380], [-1.12164, -1.49486, -0.81123], [-0.60302, -1.02851, -1.83780], [3.34594, -2.79522, -0.65959], [3.44428, -1.26262, -1.58086], [1.85230, -2.87295, -2.68327], [1.12587, -3.21244, -1.22114], [1.38941, -0.29161, -1.86271], [0.59920, -1.16804, -3.37510], [-2.18470, -1.36989, -0.55929], [-0.63486, -2.20705, -0.12027], [0.22836, 2.41903, -1.82644], [-0.87316, 3.07389, -2.50163], [-0.72230, 2.60275, -1.66500], [2.86643, 2.30447, -1.39874], [1.87492, 1.48818, -0.70104], [1.91650, 2.13778, -1.43136], [2.11593, -0.51466, 2.78180], [2.81541, 0.44141, 1.98630], [2.51934, 0.36069, 2.94233], [-3.63343, 0.30868, 0.57368], [-2.51402, -0.57833, 1.27491], [-3.41347, -0.57150, 0.93126], [-1.99163, 0.30670, -2.87577], [-2.69967, 1.53282, -2.28389], [-2.56079, 1.05082, -3.10612], [-1.54832, 1.91669, 2.83479], [-2.59568, 1.42502, 3.63735], [-2.52260, 1.92877, 2.81037], [-0.06179, 1.69356, -3.37046], [-0.36906, 0.73006, -4.54087], [0.23656, 1.42246, -4.25090], [0.61868, -2.79248, 3.02349], [1.49930, -3.65612, 2.26607], [1.00237, -3.67892, 3.12238], [0.85533, 0.09895, 3.30279], [-0.52974, 0.10728, 2.73951], [-0.08440, -0.12439, 3.57348], [-4.16040, 3.02173, 0.22094], [-3.48995, 2.17195, 1.29084], [-4.19202, 2.13828, 0.60639], [-0.68202, 1.45329, 0.36338], [0.40387, 0.39721, 0.74718], [-0.44968, 0.77213, 1.00796]], "charge": 0, "lumo_energy_ev": [-1.53, -5.69], "relative_energy_ev": 2.4075, "multiplicity": 2, "mol_weight_g_mol": 312.3, "homo_energy_ha": [-0.3810, -0.3799]}


No. 2
{"formula": "C4H8NS", "method": "wB97M-V/def2-TZVPD", "symbols": ["C", "C", "C", "C", "N", "S", "H", "H", "H", "H", "H", "H", "H", "H"], "coordinates": [[-0.75483, -1.78174, 0.09906], [-1.29579, -0.39429, 0.36373], [-2.03078, 0.36922, -0.66958], [2.69358, 1.00495, 0.38235], [0.06893, -0.87155, 0.15585], [2.31327, -0.50490, -0.56286], [-1.00536, -2.70034, -0.33525], [-1.39414, -0.31596, 1.47117], [-3.08634, 0.45285, -0.33006], [-2.11983, -0.30527, -1.61598], [-1.51233, 1.37854, -0.66015], [1.79710, 0.90742, 1.12007], [2.66811, 1.90970, -0.21099], [3.65840, 0.85136, 0.79263]], "charge": 1, "lumo_energy_ev": [-3.56, -7.51], "relative_energy_ev": 1.9009, "multiplicity": 3, "mol_weight_g_mol": 102.2, "homo_energy_ha": [-0.5001, -0.5308]}


No. 3
+++

Assignment:
Give back only the last part of the rows above, starting with the line that has "single C5H9NO".

Done:
This record from the OMol25 dataset describes a single C5H9NO molecule. The level of theory is the ωB97M-V functional and the def2-TZVPD basis.

The value obtained for the orbital gap is 7.404 eV. Its multiplicity is 1.

Element x y z (Å)
C  -0.55538  2.05539  0.57029
C  0.65909  0.51470  -0.92052
C  0.38482  -0.71177  -0.08729
C  1.52197  -1.26938  0.67281
C  -1.89132  -0.87360  -0.52511
N  0.12285  1.74271  -0.43427
O  -0.77948  -1.19823  0.10040
H  -0.78405  3.03656  0.77914
H  1.70581  0.50942  -0.80759
H  0.34434  0.33156  -2.01542
H  1.12724  -1.88325  1.62568
H  2.15187  -0.42781  0.90268
H  2.11063  -2.15426  0.24631
H  -1.95589  -0.06929  -1.34330
H  -1.38765  1.49336  1.14606
H  -2.77483  -1.09609  0.09014

=====

No. 1
{"formula": "C5H30NO13", "method": "wB97M-V/def2-TZVPD", "symbols": ["O", "C", "O", "C", "C", "C", "C", "N", "H", "H", "H", "H", "H", "H", "H", "H", "H", "H", "O", "H", "H", "O", "H", "H", "O", "H", "H", "O", "H", "H", "O", "H", "H", "O", "H", "H", "O", "H", "H", "O", "H", "H", "O", "H", "H", "O", "H", "H", "O"], "coordinates": [[1.80791, -1.75555, 1.25202], [2.34692, -1.09343, 0.35048], [2.58994, 0.14228, 0.33132], [2.79816, -1.83787, -0.92689], [1.60216, -2.35701, -1.75264], [0.80067, -1.12023, -2.29380], [-1.12164, -1.49486, -0.81123], [-0.60302, -1.02851, -1.83780], [3.34594, -2.79522, -0.65959], [3.44428, -1.26262, -1.58086], [1.85230, -2.87295, -2.68327], [1.12587, -3.21244, -1.22114], [1.38941, -0.29161, -1.86271], [0.59920, -1.16804, -3.37510], [-2.18470, -1.36989, -0.55929], [-0.63486, -2.20705, -0.12027], [0.22836, 2.41903, -1.82644], [-0.87316, 3.07389, -2.50163], [-0.72230, 2.60275, -1.66500], [2.86643, 2.30447, -1.39874], [1.87492, 1.48818, -0.70104], [1.91650, 2.13778, -1.43136], [2.11593, -0.51466, 2.78180], [2.81541, 0.44141, 1.98630], [2.51934, 0.36069, 2.94233], [-3.63343, 0.30868, 0.57368], [-2.51402, -0.57833, 1.27491], [-3.41347, -0.57150, 0.93126], [-1.99163, 0.30670, -2.87577], [-2.69967, 1.53282, -2.28389], [-2.56079, 1.05082, -3.10612], [-1.54832, 1.91669, 2.83479], [-2.59568, 1.42502, 3.63735], [-2.52260, 1.92877, 2.81037], [-0.06179, 1.69356, -3.37046], [-0.36906, 0.73006, -4.54087], [0.23656, 1.42246, -4.25090], [0.61868, -2.79248, 3.02349], [1.49930, -3.65612, 2.26607], [1.00237, -3.67892, 3.12238], [0.85533, 0.09895, 3.30279], [-0.52974, 0.10728, 2.73951], [-0.08440, -0.12439, 3.57348], [-4.16040, 3.02173, 0.22094], [-3.48995, 2.17195, 1.29084], [-4.19202, 2.13828, 0.60639], [-0.68202, 1.45329, 0.36338], [0.40387, 0.39721, 0.74718], [-0.44968, 0.77213, 1.00796]], "charge": 0, "lumo_energy_ev": [-1.53, -5.69], "relative_energy_ev": 2.4075, "multiplicity": 2, "mol_weight_g_mol": 312.3, "homo_energy_ha": [-0.3810, -0.3799]}


No. 2
{"formula": "C4H8NS", "method": "wB97M-V/def2-TZVPD", "symbols": ["C", "C", "C", "C", "N", "S", "H", "H", "H", "H", "H", "H", "H", "H"], "coordinates": [[-0.75483, -1.78174, 0.09906], [-1.29579, -0.39429, 0.36373], [-2.03078, 0.36922, -0.66958], [2.69358, 1.00495, 0.38235], [0.06893, -0.87155, 0.15585], [2.31327, -0.50490, -0.56286], [-1.00536, -2.70034, -0.33525], [-1.39414, -0.31596, 1.47117], [-3.08634, 0.45285, -0.33006], [-2.11983, -0.30527, -1.61598], [-1.51233, 1.37854, -0.66015], [1.79710, 0.90742, 1.12007], [2.66811, 1.90970, -0.21099], [3.65840, 0.85136, 0.79263]], "charge": 1, "lumo_energy_ev": [-3.56, -7.51], "relative_energy_ev": 1.9009, "multiplicity": 3, "mol_weight_g_mol": 102.2, "homo_energy_ha": [-0.5001, -0.5308]}


No. 3